Your job: give back the data below without additions.

+++
Structure and simulated PXRD pattern of Sr2Mg12Sn7 (a GGA-PBE-relaxed structure; Cu Kα (λ = 1.5418 Å)).

Structural model:
```
Sr2Mg12Sn7
1.0
11.7212 0.0000 0.0000
-5.8606 10.1509 0.0000
0.0000 0.0000 4.6095
Sr Mg Sn
2 12 7
direct
0.3333 0.6667 0.2555 Sr
0.6667 0.3333 0.7445 Sr
0.0466 0.6183 0.7492 Mg
0.1100 0.8504 0.2514 Mg
0.1496 0.2596 0.2514 Mg
0.2596 0.1100 0.7486 Mg
0.3817 0.4283 0.7492 Mg
0.4283 0.0466 0.2508 Mg
0.5717 0.9534 0.7492 Mg
0.6183 0.5717 0.2508 Mg
0.7404 0.8900 0.2514 Mg
0.8504 0.7404 0.7486 Mg
0.8900 0.1496 0.7486 Mg
0.9534 0.3817 0.2508 Mg
0.0000 0.0000 0.5000 Sn
0.1250 0.4178 0.7551 Sn
0.2928 0.8750 0.7551 Sn
0.4178 0.2928 0.2449 Sn
0.5822 0.7072 0.7551 Sn
0.7072 0.1250 0.2449 Sn
0.8750 0.5822 0.2449 Sn
```

Top 10 peaks for 2θ = 10–90°, in order of rising 2θ:
3.837 Å, 23.2 deg, intensity 100, (1 2 0); 3.623 Å, 24.6 deg, intensity 46, (2 -1 1); 3.412 Å, 26.1 deg, intensity 61, (0 2 1); 2.949 Å, 30.3 deg, intensity 100, (2 1 1); 2.403 Å, 37.4 deg, intensity 45, (3 1 1); 2.305 Å, 39.1 deg, intensity 25, (0 0 2); 2.215 Å, 40.7 deg, intensity 69, (4 1 0); 2.079 Å, 43.5 deg, intensity 39, (5 -2 1); 1.976 Å, 45.9 deg, intensity 24, (1 2 2); 1.597 Å, 57.7 deg, intensity 30, (4 1 2)

=====

This entry pairs a crystal structure of Cs2K2ZnAs2 with its simulated PXRD pattern. Radiation: λ = 1.5418 Å (Cu Kα). Structure: a cell relaxed with GGA-PBE.

Cell and atoms:
a = 9.6045 Å, b = 9.6045 Å, c = 9.6045 Å
α = 37.35°, β = 37.35°, γ = 37.35°
Element x y z (fractional)
Cs1 0.1171 0.1171 0.1171
Cs2 0.8829 0.8829 0.8829
K1 0.2915 0.2915 0.2915
K2 0.7085 0.7085 0.7085
Zn1 0.5000 0.5000 0.5000
As1 0.4128 0.4128 0.4128
As2 0.5872 0.5872 0.5872

The 10 most intense peaks (2θ from 10° to 90°), by angle:
21.3°, I 35.5; 23.6°, I 28.4; 28.7°, I 17.9; 29.0°, I 100.0; 30.7°, I 12.9; 31.6°, I 12.0; 37.6°, I 21.2; 47.3°, I 13.4; 48.2°, I 17.7; 51.5°, I 19.3
+++

Structure and simulated PXRD pattern of Sr2Mg12Sn7 (a GGA-PBE-relaxed structure; Cu Kα (λ = 1.5418 Å)).

Structural model:
```
Sr2Mg12Sn7
1.0
11.7212 0.0000 0.0000
-5.8606 10.1509 0.0000
0.0000 0.0000 4.6095
Sr Mg Sn
2 12 7
direct
0.3333 0.6667 0.2555 Sr
0.6667 0.3333 0.7445 Sr
0.0466 0.6183 0.7492 Mg
0.1100 0.8504 0.2514 Mg
0.1496 0.2596 0.2514 Mg
0.2596 0.1100 0.7486 Mg
0.3817 0.4283 0.7492 Mg
0.4283 0.0466 0.2508 Mg
0.5717 0.9534 0.7492 Mg
0.6183 0.5717 0.2508 Mg
0.7404 0.8900 0.2514 Mg
0.8504 0.7404 0.7486 Mg
0.8900 0.1496 0.7486 Mg
0.9534 0.3817 0.2508 Mg
0.0000 0.0000 0.5000 Sn
0.1250 0.4178 0.7551 Sn
0.2928 0.8750 0.7551 Sn
0.4178 0.2928 0.2449 Sn
0.5822 0.7072 0.7551 Sn
0.7072 0.1250 0.2449 Sn
0.8750 0.5822 0.2449 Sn
```

Top 10 peaks for 2θ = 10–90°, in order of rising 2θ:
3.837 Å, 23.2 deg, intensity 100, (1 2 0); 3.623 Å, 24.6 deg, intensity 46, (2 -1 1); 3.412 Å, 26.1 deg, intensity 61, (0 2 1); 2.949 Å, 30.3 deg, intensity 100, (2 1 1); 2.403 Å, 37.4 deg, intensity 45, (3 1 1); 2.305 Å, 39.1 deg, intensity 25, (0 0 2); 2.215 Å, 40.7 deg, intensity 69, (4 1 0); 2.079 Å, 43.5 deg, intensity 39, (5 -2 1); 1.976 Å, 45.9 deg, intensity 24, (1 2 2); 1.597 Å, 57.7 deg, intensity 30, (4 1 2)

=====

This entry pairs a crystal structure of Cs2K2ZnAs2 with its simulated PXRD pattern. Radiation: λ = 1.5418 Å (Cu Kα). Structure: a cell relaxed with GGA-PBE.

Cell and atoms:
a = 9.6045 Å, b = 9.6045 Å, c = 9.6045 Å
α = 37.35°, β = 37.35°, γ = 37.35°
Element x y z (fractional)
Cs1 0.1171 0.1171 0.1171
Cs2 0.8829 0.8829 0.8829
K1 0.2915 0.2915 0.2915
K2 0.7085 0.7085 0.7085
Zn1 0.5000 0.5000 0.5000
As1 0.4128 0.4128 0.4128
As2 0.5872 0.5872 0.5872

The 10 most intense peaks (2θ from 10° to 90°), by angle:
21.3°, I 35.5; 23.6°, I 28.4; 28.7°, I 17.9; 29.0°, I 100.0; 30.7°, I 12.9; 31.6°, I 12.0; 37.6°, I 21.2; 47.3°, I 13.4; 48.2°, I 17.7; 51.5°, I 19.3